Plot customizations#


This vignette contains various snippets of code
that show how plots and data can be customized
to ones requirements.

The h5 file used in this notebook can be found here

import missionbio.mosaic as ms

sample = ms.load_example_dataset('3 cell mix')

All the interactive plotting functions return a plotly figure. In case the layout or the color
scheme is not suitable for your data type, they can be changed before creating the final figure.

  1. The color for the plots are store either in the individual traces or the layout attributes of the plotly figure.

  2. Mosaic also contains a list of colors that can be used to customize the plots.

  3. Most importantly the mosaic configuration can be modified for certain layers of the assays, and that will affect the color scale in all plots for those layers

# Plot the first few colors
import seaborn as sns

Configuration options#

# The configuration of the colorscales is stored in ms.Config.Colorscale

Color palettes for plotting.
Options: ['Cnv', 'Dna', 'Protein', 'Rna']
# The default values for each assay are stored in the respective options

ms.Config.Colorscale.Dna.NGT  # This is the default colorscale for the DNA NGT layer in all plots
[(0.0, '#3B4D73'),
 (0.25, '#3B4D73'),
 (0.25, '#78A3BC'),
 (0.5, '#78A3BC'),
 (0.5, '#D7ECEE'),
 (0.75, '#D7ECEE'),
 (0.75, '#000000'),
 (1.0, '#000000')]

Updating the colors for plots#

Colors of the values#

# The default color scale for NGT is a monochromatic blue color scheme.

fig = sample.dna.heatmap('NGT')"jpg")
# Assuming these are new desired colors
# NGT=0 (WT) - grey
# NGT=1 (HET) - brown
# NGT=2 (HOM) - purple
# NGT=3 (missing) - black

wt_col = ms.COLORS[9]
het_col = ms.COLORS[5]
hom_col = ms.COLORS[4]
miss_col = ms.COLORS[-1]

sns.palplot([wt_col, het_col, hom_col, miss_col])
# Update the coloraxis to make a plot with the new colors

ms.Config.Colorscale.Dna.NGT = [
    (0 / 4, wt_col), (1 / 4, wt_col),
    (1 / 4, het_col), (2 / 4, het_col),
    (2 / 4, hom_col), (3 / 4, hom_col),
    (3 / 4, miss_col), (4 / 4, miss_col)
# All subsequent plots using NGT will use the above colorscale

fig = sample.dna.heatmap("NGT")"jpg")
# The same method can be used to update scatterplot which are colored by NGT

fig = sample.dna.scatterplot('umap', colorby='NGT', features=sample.dna.ids()[:4])"jpg")

Colors of the labels#

Between two parts of the entry: molecular data:
# ClH3NOP

A single ClH3NOP molecule in a non-equilibrium geometry (ωB97M-V/def2-TZVPD, the OMol25 dataset).

```
7
ClH3NOP, DFT ωB97M-V/def2-TZVPD
Cl 1.813 1.017 0.904
P 0.228 -0.366 0.902
O 0.811 -1.489 -0.064
N -1.011 0.551 0.019
H -0.732 1.180 -0.726
H 0.858 -1.023 -0.932
H -1.967 0.132 -0.104
```

Values from the calculation:
* LUMO: 0.8 eV
* energy relative to the best compared isomer or geometry (same formula, charge and spin): 0.41 kcal/mol
* HOMO-LUMO gap: 10.36 eV
* E: -25398.935 eV
* 2S+1: 1
* net charge: 0
* SMILES: NP(O)Cl

* * * * *

C56H45BaN10SSi | ωB97M-V/def2-TZVPD

ORCA input file:
```
! RIJCOSX wB97M-V def2-TZVPD def2/J DEFGRID3
* xyz -1 1
Ba 0.25 -0.87 -0.05
C 2.70 -1.57 5.87
C 3.26 -2.80 5.55
C 3.25 -3.27 4.25
C 2.67 -2.47 3.27
C 2.47 -2.66 1.85
N 1.98 -1.52 1.33
C 1.65 -0.65 2.31
N 1.13 0.46 1.89
C -0.04 1.19 2.27
C -0.59 1.09 3.67
C -0.16 1.62 4.87
C -0.91 1.38 6.01
C -2.09 0.66 5.95
C -2.56 0.17 4.74
C -1.80 0.39 3.61
C -1.99 0.02 2.20
N -3.03 -0.69 1.80
C -2.99 -1.54 0.78
N -1.88 -2.08 0.24
C -2.25 -3.14 -0.55
N -1.48 -4.07 -1.10
C -0.19 -4.22 -0.86
N 0.61 -3.41 -0.11
C 1.74 -4.10 0.20
N 2.56 -3.81 1.21
C 1.75 -5.37 -0.50
C 2.65 -6.42 -0.56
C 2.32 -7.53 -1.32
C 1.10 -7.60 -2.00
C 0.20 -6.55 -1.95
C 0.52 -5.44 -1.19
C -3.69 -3.20 -0.62
C -4.59 -4.02 -1.29
C -5.94 -3.78 -1.13
C -6.41 -2.76 -0.29
C -5.53 -1.95 0.40
C -4.17 -2.18 0.24
N -1.06 0.56 1.44
C 2.09 -1.22 3.59
C 2.12 -0.77 4.90
H 2.72 -1.22 6.89
H 3.72 -3.40 6.33
H 3.69 -4.21 3.97
H 0.75 2.22 4.92
H -0.57 1.76 6.97
H -2.66 0.50 6.85
H -3.49 -0.37 4.67
H 3.59 -6.37 -0.02
H 3.00 -8.37 -1.37
H 0.87 -8.49 -2.57
H -0.74 -6.59 -2.47
H -4.22 -4.80 -1.93
H -6.66 -4.40 -1.65
H -7.47 -2.61 -0.20
H -5.87 -1.16 1.06
H 1.71 0.19 5.16
C 0.17 2.65 1.89
Si 1.04 2.92 0.21
C 2.50 1.80 -0.38
N 2.17 0.78 -1.36
C 1.93 1.40 -2.66
C 2.35 0.52 -3.83
C 3.87 0.31 -3.82
C 4.38 0.26 -2.38
C 3.25 -0.21 -1.46
C -0.22 3.28 -1.16
C 0.10 4.14 -2.21
C -0.84 4.51 -3.15
C -2.13 4.02 -3.07
C -2.47 3.16 -2.04
C -1.52 2.80 -1.09
C 1.83 4.62 0.58
C 1.07 5.78 0.45
C 1.56 7.01 0.86
C 2.82 7.09 1.42
C 3.59 5.95 1.57
C 3.09 4.73 1.16
H -0.79 3.17 1.90
H 0.80 3.11 2.66
H 2.90 1.31 0.51
H 3.30 2.46 -0.76
H 2.48 2.35 -2.74
H 0.87 1.63 -2.75
H 2.04 1.01 -4.76
H 1.82 -0.43 -3.78
H 4.36 1.11 -4.37
H 4.10 -0.63 -4.33
H 4.69 1.26 -2.06
H 5.24 -0.40 -2.29
H 3.63 -0.42 -0.46
H 2.85 -1.15 -1.85
H 1.10 4.54 -2.27
H -0.57 5.19 -3.95
H -2.88 4.32 -3.79
H -3.48 2.79 -1.96
H -1.80 2.14 -0.29
H 0.08 5.71 0.04
H 0.95 7.89 0.76
H 3.20 8.05 1.76
H 4.57 6.01 2.03
H 3.68 3.83 1.30
S -0.83 -0.32 -3.77
C -2.37 0.30 -3.81
N -3.26 -0.05 -2.82
C -4.53 0.39 -2.79
C -5.00 1.23 -3.76
C -4.13 1.63 -4.80
C -2.84 1.16 -4.82
H -2.91 -0.67 -2.09
H -5.14 0.05 -1.97
H -6.02 1.59 -3.74
H -4.49 2.30 -5.57
H -2.15 1.44 -5.60
*
```

Values from the calculation:
Strongest force on any atom ... 0.0996 Eh/bohr
Gap between HOMO and LUMO ... 4.5 eV

Now the colors in the heatmap conflict with the colors in the labels. To customize those, the palette can be changed

# This is the current palette

{'Jurkat': '#1f77b4',
 'KG-1': '#ff7f0e',
 'Mixed': '#c7c7c7',
 'TOM-1': '#d62728'}
# Update this palette. It is not required to use the built in colors
# Any hexadecimal colors can be passed.

new_palette = {
    'Jurkat': ms.COLORS[3],
    'KG-1': ms.COLORS[4],
    'Mixed': '#c7c7c7',  # Use hexadecimal colors
    'TOM-1': ms.COLORS[5]

# Make the heatmap with the new colors

fig = sample.dna.heatmap('NGT')"jpg")

Scaling the plots#

Often the cnv heatmaps contain too many genes or amplicons to fit in the default layout.
This is usually not an issue when they are interactive, but when exporting as static images
it hinder the ability to interpret them.

Plotly provides an option to convert interactive figures to static images

# Scale the figure width and plot as a static image.
# Double click on the plot to zoom-in and improve the resolution

import missionbio.mosaic.utils as mutils

fig = sample.cnv.heatmap('ploidy', features='genes')
fig.layout.width = 1600"jpg")

Smoothening the values#

In case the color scale get skewed to high poidy, a max value can be imposed to generate a more interpretable heatmap

The colorscale can also be changed as desired. A list of color scales can be found in the plotly documentation

# The plots can also be smoothed using a moving average with the convolve parameter

fig = sample.cnv.heatmap('ploidy', features='genes', convolve=5)"jpg")

Filtering the data#

Often the number of amplicons in CNV might take over the sample level heatmap making the plot uninterpretable. Moreover there might be certain non-differentiating variants and protein in the panel. These can be dropped before making the final heatmap.

# The genes to plot on the sample heatmap

genes = ['EZH2', 'TET2']
# When `features` is None, all the ids are clustered and plotted
fig = sample.heatmap(
    ("dna", "protein", "cnv"),
    attributes=("NGT", "normalized_counts", "ploidy"),
    features=(None, None, genes)

# Update the width of the plot [See the section on CNV heatmaps]
fig.layout.width = 1600

# Show a static plot"jpg")

Resetting the configuration#

Notice that the DNA colorscale is still the same as the one set in the configuration

All configuration values can be reset using the reset method.

ms.Config.Colorscale.Dna.reset("NGT")  # This will reset the NGT colorscale

# To recursively reset all colorscales of the Dna assay
# run the `reset` function of the `Colorscale` option.

ms.Config.Colorscale.reset()  # By skipping the parameter, all values will be reset i.e. Dna, Cnv, and Protein
# Creating the same plot again will 
fig = sample.heatmap(
    ("dna", "protein", "cnv"),
    attributes=("NGT", "normalized_counts", "ploidy"),
    features=(None, None, genes)

# Update the width of the plot [See the section on CNV heatmaps]
fig.layout.width = 1600

# Show a static plot"jpg")

Saving the plots#

All plotly figures can be saved as .jpg, .png, .svg, and .webp formats

fig = sample.dna.heatmap("NGT")

fig.write_image("./saved_image.pdf")  # Save as a vector .pdf file
fig.write_image("./saved_image.svg")  # Save as a vector .svg file
fig.write_image("./saved_image.jpg")  # Save as a .jpeg
fig.write_image("./saved_image.png")  # Save as a .png
fig.write_image("./saved_image.webp")  # Save as a .webp